Guest Blogger: Smooth: A Theology of Discipline

Guest Blogger: Smooth: A Theology of Discipline

[My younger brother, Smooth, recently found himself in some difficult and overwhelming circumstances where he was forced to work out his own “theology of discipline.” Below are some of his conclusions that I thought everyone out there in the blogosphere might benefit from, especially you parents. He gave me his permission.]

“Let me first preface all of this by saying that we (my wife Kelly and I) are not perfect. We do make mistakes, but I can honestly say that neither of us have ever practiced corporeal punishment while angry. If ever I am angry or overly frustrated with Cana (our 2-year old daughter) for something she has done, we use time out. In fact, time out is the primary form of punishment and discipline that we use. We do believe, however, that there are some situations that call for corporeal punishment. We are also not necessarily criticizing other views. But this is the one we have chosen as we have sought God on it.

These molecular data were left in the page by mistake =
********
1.
{"formula": "C18H23N3O6", "method": "ωB97M-V/def2-TZVPD", "energy_ev": -35793.1024, "de_lowest_ev": 2.949, "e_homo_ha": -0.3363, "orbital_gap_ev": 8.29, "smiles": "Cc1cc(C(=O)NCC(=O)OCC(=O)N2CCCCCC2)ccc1[N+](=O)[O-]", "symbols": ["C", "C", "C", "C", "C", "C", "C", "N", "O", "O", "H", "H", "C", "O", "N", "H", "C", "C", "O", "O", "C", "H", "H", "C", "O", "N", "C", "H", "C", "H", "H", "C", "C", "C", "C", "H", "H", "H", "H", "H", "H", "H", "H", "H", "H", "H", "H", "H", "H", "H"], "coordinates": [[-5.9731, -1.9185, 0.1736], [-5.0442, -0.7682, -0.0116], [-3.7523, -1.0007, -0.4729], [-2.8395, 0.0247, -0.6745], [-3.1958, 1.3365, -0.3664], [-4.4621, 1.5945, 0.1092], [-5.3842, 0.5617, 0.2694], [-6.6912, 0.9393, 0.7496], [-7.6129, 0.1680, 0.5938], [-6.7935, 2.0268, 1.2786], [-4.7683, 2.5984, 0.3624], [-2.4853, 2.1433, -0.4641], [-1.4746, -0.3345, -1.1683], [-0.9099, -1.3567, -0.8355], [-0.9465, 0.5465, -2.0526], [-1.4269, 1.4128, -2.2346], [0.4143, 0.4300, -2.5019], [1.3919, 1.2741, -1.6835], [2.5382, 1.4533, -1.9830], [0.7928, 1.7596, -0.5957], [1.5635, 2.5775, 0.2844], [1.7500, 3.5442, -0.1946], [0.9327, 2.7247, 1.1652], [2.9470, 2.0615, 0.7175], [3.8701, 2.8526, 0.7209], [3.0607, 0.7984, 1.1653], [2.0118, -0.1916, 1.2406], [1.9855, -0.5764, 2.2684], [2.2262, -1.3664, 0.2783], [2.4768, -0.9861, -0.7120], [1.2772, -1.8993, 0.2009], [3.3184, -2.3275, 0.7470], [4.7368, -1.9312, 0.3188], [5.0354, -0.4282, 0.3423], [4.3949, 0.3318, 1.5068], [4.9862, 1.2217, 1.7307], [4.3329, -0.2913, 2.4013], [4.6940, 0.0421, -0.5815], [6.1173, -0.2951, 0.3852], [5.4424, -2.4482, 0.9734], [4.9176, -2.2908, -0.6963], [3.1135, -3.3225, 0.3471], [3.2694, -2.4106, 1.8351], [1.0461, 0.2691, 1.0408], [0.5066, 0.7069, -3.5549], [0.7051, -0.6201, -2.3864], [-3.4360, -2.0107, -0.6870], [-5.4342, -2.8567, 0.0722], [-6.4562, -1.8846, 1.1482], [-6.7687, -1.8837, -0.5696]]}

=====

2.
********

“We have chosen this view not just because it works but also because we believe it is biblical. So our beliefs about child rearing are very much rooted in our theology – our beliefs about God, who He is, and what He requires. In the Old Testament, the concept of discipline is closely tied with correction and instruction. It is not just for mere punishment, but when you discipline someone the idea is to correct wrongdoing and instruct them in the way that is right. In the New Testament, the literal meaning of correction is to set upright. The idea is that correcting someone is actually the setting upright of something that has fallen. Furthermore, the word is used in the sense of making someone conform to a standard. You see, as human beings we bear the image of God (imago deiGen 1:26). Among other things, I believe this means that God has created human beings to reflect his image and his workings in everyday things. In other words, many of the things God requires us to do as his people act as analogies of a grander scheme. For instance, the New Testament tells us that the marriage relationship is a reflection of Christ’s relationship to the Church.

“Okay, so what does any of this have to do with corporeal punishment? God has held humankind to a standard. That standard is perfection. God is perfect and expects people to be perfect (Matt. 5:48). Obviously, no one can reach this standard, which is why Scripture says that ‘all have sinned and fallen short of God’s glorious standard’ (Rom. 3:23). That’s why Jesus came. He lived perfectly according to that standard and then died a death He didn’t deserve. Since He had no sin to pay for, He was paying the penalty for our sin (2 Cor. 5:21). Now those who accept the gift that Christ gave us become children of God and heirs of his inheritance: eternal life (Rom. 8:17,Gal. 3:26). As God’s children we now strive to live according to God’s standards not to gain favor with Him, but because we love Him. Likewise, God seeks to help us live according to those standards because it is what is just and it is what is best. He does so by correcting us, instructing us, disciplining us. You see, it’s not about punishment, or inflicting pain. It is about setting upright someone who has fallen, and helping us conform to his standard.

Misplaced records of molecules:
<<<
56
Properties=species:S:1:pos:R:3 method="wB97M-V/def2-TZVPD" total_energy_ev=-185162.8110 orbital_gap_ev=8.25 charge=+1 max_force_ev_per_a=11.974
C 0.82 -3.60 -1.83
C -0.63 -2.87 -1.75
C -0.93 -1.93 -0.47
Br -2.06 -3.06 0.81
C 0.28 -1.13 0.22
O 1.54 -1.73 0.64
C 1.40 -2.95 1.44
N 1.31 -3.90 2.34
C -0.44 -0.20 1.41
N -0.56 -0.76 2.80
C -1.42 -0.06 3.60
C -2.99 0.31 3.30
C -0.83 0.45 5.08
C 0.30 1.28 1.47
Br -0.92 2.90 1.70
C 1.43 1.58 2.61
C 2.48 0.36 2.90
N 0.66 1.44 -0.01
C 0.87 0.13 -0.72
C 0.20 0.39 -2.19
C 0.75 1.69 -3.00
C -0.46 2.32 -3.97
S -1.38 1.03 -4.96
O -1.94 1.76 -6.23
O -0.50 -0.14 -5.49
O -2.77 0.51 -4.08
N 2.23 -0.40 -1.06
C 3.23 0.53 -0.99
O 4.18 1.50 -1.04
H 0.81 -4.28 -2.82
H 1.63 -2.78 -2.03
H 1.07 -4.34 -0.96
H -0.87 -2.25 -2.75
H -1.45 -3.73 -1.75
H -1.72 -1.11 -0.84
H -1.49 0.10 0.95
H -3.76 -0.46 3.76
H -3.27 0.45 2.17
H -3.20 1.36 3.83
H 0.22 -0.06 5.29
H -0.72 1.62 5.13
H -1.56 0.09 5.95
H 2.09 2.49 2.19
H 1.01 1.97 3.64
H 3.31 0.79 3.64
H 3.06 -0.04 1.96
H 1.98 -0.56 3.47
H 1.24 2.28 -0.20
H -0.28 1.75 -0.39
H 0.50 -0.56 -2.85
H -0.96 0.46 -2.16
H 1.61 1.38 -3.74
H 1.12 2.59 -2.35
H -1.20 3.02 -3.36
H 0.09 3.03 -4.73
H -3.11 1.32 -3.59

96
Properties=species:S:1:pos:R:3 method="wB97M-V/def2-TZVPD" total_energy_ev=-3193002.7942 orbital_gap_ev=4.36 charge=-1 max_force_ev_per_a=1.455
N -0.07 0.64 1.82
C -1.18 1.55 2.17
N -1.53 2.32 0.95
N -2.34 0.73 2.63
C -0.75 2.44 3.38
In -0.54 4.65 3.05
P 0.12 5.44 0.71
O 1.18 4.34 0.03
O -1.27 5.41 -0.24
H -0.32 0.13 0.97
H -0.04 -0.03 2.59
H -0.97 2.07 0.14
H -2.52 2.26 0.74
H -2.67 0.14 1.86
H -3.12 1.35 2.88
H 0.17 2.01 3.84
H -1.54 2.33 4.14
H 0.74 5.25 4.13
H -2.05 5.50 3.46
H 1.07 3.44 0.40
H -1.95 4.86 0.20
C -5.53 5.16 0.09
Br -4.48 6.51 0.96
Br -6.59 5.86 -1.37
Br -4.42 3.70 -0.50
H -6.22 4.76 0.82
C 5.19 2.41 0.61
Br 5.33 4.09 1.51
Br 6.86 1.44 0.61
Br 3.77 1.32 1.31
H 4.94 2.62 -0.42
C -6.73 0.45 -2.48
Br -7.56 1.43 -1.04
Br -4.88 0.11 -2.12
Br -7.68 -1.17 -2.88
H -6.78 1.08 -3.36
C 1.99 -2.57 3.95
Br 1.01 -1.12 4.75
Br 1.01 -4.22 4.07
Br 2.49 -2.16 2.14
H 2.91 -2.69 4.50
C -2.93 -1.42 -5.79
Br -4.55 -0.39 -5.86
Br -1.37 -0.29 -5.72
Br -2.93 -2.68 -4.33
H -2.88 -1.99 -6.71
C -5.40 -0.84 -9.84
Br -5.92 0.81 -9.01
Br -3.50 -1.12 -9.71
Br -6.39 -2.33 -9.13
H -5.64 -0.76 -10.89
C -7.42 -0.45 2.40
Br -9.03 0.61 2.40
Br -5.85 0.66 2.35
Br -7.39 -1.67 3.89
H -7.43 -1.04 1.50
C 6.38 -3.74 4.78
Br 5.44 -2.29 5.61
Br 5.40 -5.39 4.92
Br 6.83 -3.34 2.95
H 7.31 -3.87 5.32
C 0.72 -1.30 8.88
Br -0.70 -0.16 8.29
Br 0.33 -3.16 8.54
Br 2.40 -0.78 8.10
H 0.82 -1.19 9.95
C 3.34 -5.40 -0.43
Br 4.12 -6.36 -1.91
Br 1.42 -5.39 -0.53
Br 3.96 -6.07 1.26
H 3.67 -4.37 -0.51
C 6.11 -5.67 -5.80
Br 5.16 -4.22 -4.98
Br 5.12 -7.31 -5.67
Br 6.58 -5.27 -7.63
H 7.03 -5.80 -5.26
C 10.20 0.27 -1.88
Br 8.71 0.92 -2.90
Br 9.65 -1.10 -0.65
Br 11.64 -0.32 -3.01
H 10.57 1.10 -1.29
C -3.93 4.12 -4.26
Br -2.93 5.41 -3.26
Br -5.05 4.94 -5.61
Br -2.79 2.76 -5.02
H -4.59 3.63 -3.56
C 3.62 4.07 5.95
Br 2.94 5.00 7.49
>>>

“Therefore, our purpose as parents when we discipline our children is not simply about punishment. In discipline, our job as parents is to properly reflect the image of a loving God who lovingly corrects his children. This idea is supported by Scripture. Deuteronomy 8:5 states that ‘as a man disciplines his son, so God disciplines you.’ So we have set up standards that we believe are biblical standards, and whenever our children fall short of these standards our job is to lovingly discipline them, correct them, and instruct them in the way that is right. That is why whenever we discipline Cana with corporeal punishment or timeout or whatever, we always have a discussion with her about why she is being disciplined and what she should do to avoid being punished in the future. We are not just punishing her; we are correcting her and instructing her. We are not disciplining her because we are the boss and she is not, but because this is the standard set up by God, and we properly reflect the divine work of God when we do. God disciplines us because he loves us (Prov. 3:12, Rev. 3:19), and we discipline our children because we love them.

Between two parts of the text: data records
The following is a quantum chemistry calculation of a molecular structure, C45H48N3O2S4SeTeTl, from OMol25.

Geometry as ORCA input:
```
! RIJCOSX wB97M-V def2-TZVPD def2/J DEFGRID3
* xyz 2 1
Tl 1.018 0.494 -0.917
C 2.875 3.635 0.480
C 2.133 3.393 1.787
S 1.339 1.768 1.943
C 2.637 0.762 2.709
C 3.958 0.625 1.965
S 3.772 -0.189 0.353
C 5.162 0.535 -0.564
C 4.961 0.421 -2.068
S 3.538 1.316 -2.743
C 4.034 3.039 -2.462
C 2.841 3.972 -2.298
S 1.722 3.621 -0.915
H 3.628 2.865 0.323
H 3.368 4.610 0.520
H 1.339 4.129 1.912
H 2.814 3.509 2.632
H 2.170 -0.212 2.846
H 2.832 1.167 3.704
H 4.633 0.029 2.581
H 4.427 1.597 1.812
H 6.076 0.007 -0.289
H 5.282 1.575 -0.260
H 4.799 -0.619 -2.359
H 5.862 0.758 -2.580
H 4.619 3.375 -3.319
H 4.680 3.087 -1.587
H 2.202 3.943 -3.183
H 3.203 4.996 -2.198
C -3.519 -5.724 1.863
C -3.155 -4.419 1.214
C -4.080 -3.517 0.799
C -3.701 -2.276 0.190
C -4.654 -1.455 -0.418
O -4.427 -0.196 -0.732
C -5.992 -1.887 -0.830
C -7.048 -0.971 -0.773
C -8.320 -1.351 -1.157
C -8.545 -2.638 -1.632
C -7.498 -3.544 -1.721
C -6.225 -3.176 -1.319
C -2.307 -1.933 0.070
O -1.923 -0.804 -0.411
C -1.359 -2.915 0.472
C -1.787 -4.089 1.026
C 0.110 -2.628 0.381
N 0.778 -2.523 -0.694
C 0.172 -2.775 -1.990
C 0.765 -4.050 -2.584
Te -0.142 -5.864 -1.873
C -1.794 -5.630 -3.170
C -2.807 -4.714 -2.893
C -3.817 -4.492 -3.821
C -3.841 -5.205 -5.011
C -2.852 -6.140 -5.276
C -1.826 -6.345 -4.363
C 0.827 -2.517 1.686
C 0.156 -2.151 2.854
C 0.821 -2.128 4.071
C 2.161 -2.487 4.137
C 2.839 -2.844 2.977
C 2.178 -2.853 1.758
H -4.598 -5.849 1.924
H -3.111 -5.788 2.872
H -3.110 -6.560 1.293
H -5.131 -3.713 0.960
H -6.866 0.036 -0.420
H -9.138 -0.645 -1.097
H -9.539 -2.931 -1.943
H -7.669 -4.538 -2.113
H -5.407 -3.875 -1.417
H -1.040 -4.799 1.365
H 0.437 -1.937 -2.645
H -0.919 -2.827 -1.964
H 1.826 -4.114 -2.345
H 0.658 -4.067 -3.667
H -2.802 -4.172 -1.953
H -4.587 -3.757 -3.623
H -4.631 -5.034 -5.731
H -2.870 -6.705 -6.199
H -1.046 -7.062 -4.584
H -0.895 -1.893 2.814
H 0.291 -1.847 4.971
H 2.673 -2.500 5.090
H 3.881 -3.137 3.026
H 2.691 -3.147 0.852
C -5.882 0.924 2.407
N -5.769 1.907 1.337
C -4.798 1.985 0.425
Se -3.202 0.824 0.228
N -5.083 2.996 -0.403
C -6.279 3.597 -0.034
C -6.997 4.664 -0.562
C -8.173 4.987 0.082
C -8.620 4.278 1.211
C -7.905 3.221 1.734
C -6.720 2.896 1.083
H -4.988 0.307 2.415
H -6.758 0.299 2.236
H -5.980 1.437 3.361
H -4.498 3.249 -1.184
H -6.656 5.211 -1.429
H -8.769 5.809 -0.288
H -9.548 4.573 1.680
H -8.251 2.679 2.604
*
```

Calculated values
F_max = 0.134 eV/Å
HOMO energy = -11.44 eV
DFT total energy = -176671.0369 eV

Atom charges from the Mulliken analysis, given in e for atoms 1 to 99:
1. Tl 0.738
2. C 0.946
3. C -1.232
4. S 0.064
5. C 0.507
6. C -1.052
7. S 0.202
8. C -0.841
9. C -0.825
10. S -0.002
11. C -0.612
12. C -0.858
13. S -0.068
14. H -1.193
15. H 0.547
16. H 0.481
17. H 0.458
18. H -1.024
19. H 0.673
20. H 0.549
21. H 0.551
22. H 0.499
23. H 0.242
24. H 0.438
25. H 0.472
26. H 0.472
27. H 0.330
28. H 0.415
29. H 0.411
The text goes on

“That being said, our next step was to look to Scripture in order to see how that discipline ought to be carried out. In the much quoted passage Proverbs 13:24, Scripture tells us that ‘he who spares the rod hates his son, but he who loves him is careful to discipline him.’ The word rod here is the rod of remedial punishment. It does not mean that one must punish his children with an actual rod, but does mean firm corporeal punishment. In fact, the parent who refrains from this type of discipline actually hates his child because verses 14-18 have already revealed that the end of this path is death, social ruin, public exposure, calamity, and shameful poverty. Therefore, if a parent turns his back on his child by not firmly disciplining him, he must really hate him because he is potentially sending his child down this path. Hebrews 12:7 tells us to ‘endure hardship as discipline; God is treating you like sons.’ So it would seem that hardship is God’s form of physical discipline. Prov. 22:15 reveals that ‘folly is bound up in the heart of a child, but the rod of discipline will drive it far from him.’ You might think that we are being irresponsible by practicing corporeal punishment, but according to Scripture we are irresponsible if we do not.”